**Excerpt:**
........
Computed, not measured: an optimized crystal structure of Ac3Pa at the PBE level of DFT.

a = 7.6464 Å, b = 7.6464 Å, c = 6.2002 Å
α = 90.00°, β = 90.00°, γ = 120.00°
Last column: nearest neighbours and their distance in Å.
Atoms (fractional coordinates):
Ac 0.1720 0.3440 0.2500  8 Ac 3.70-3.95, 4 Pa 3.77-3.82
Ac 0.1720 0.8280 0.2500  8 Ac 3.70-3.95, 4 Pa 3.77-3.82
Ac 0.3440 0.1720 0.7500  8 Ac 3.70-3.95, 4 Pa 3.77-3.82
Ac 0.6560 0.8280 0.2500  8 Ac 3.70-3.95, 4 Pa 3.77-3.82
Ac 0.8280 0.1720 0.7500  8 Ac 3.70-3.95, 4 Pa 3.77-3.82
Ac 0.8280 0.6560 0.7500  8 Ac 3.70-3.95, 4 Pa 3.77-3.82
Pa 0.3333 0.6667 0.7500  12 Ac 3.77-3.82
Pa 0.6667 0.3333 0.2500  12 Ac 3.77-3.82

Properties
energy relative to the elements = 0.4157 eV/atom

----------

Record 1
Here is a relaxed Sm3FeO6 crystal from the Materials Project. Energies are from GGA+U.

Cell lengths 7.3401, 7.3401, 5.5951 Å; angles 90.00, 90.00, 102.94 degrees
Closest atoms and distances in Å follow each position.
Fractional coordinates of all 20 atoms:
Sm 0.5874 0.7994 0.0420  5 O 2.28-2.46
Sm 0.2006 0.4126 0.0420  5 O 2.28-2.46
Sm 0.4126 0.2006 0.5420  5 O 2.28-2.46
Sm 0.7994 0.5874 0.5420  5 O 2.28-2.46
Sm 0.1029 0.8971 0.9981  7 O 2.35-2.52
Sm 0.8971 0.1029 0.4981  7 O 2.35-2.52
Fe 0.3072 0.6928 0.5735  4 O 1.91-1.92
Fe 0.6928 0.3072 0.0735  4 O 1.91-1.92
O 0.1737 0.1459 0.2715  4 Sm 2.28-2.35
O 0.8541 0.8263 0.2715  4 Sm 2.28-2.35
O 0.8263 0.8541 0.7715  4 Sm 2.28-2.35
O 0.1459 0.1737 0.7715  4 Sm 2.28-2.35
O 0.6066 0.0808 0.2495  1 Fe 1.91
O 0.9192 0.3934 0.2495  1 Fe 1.91
O 0.3934 0.9192 0.7495  1 Fe 1.91
O 0.0808 0.6066 0.7495  1 Fe 1.91
O 0.5411 0.4589 0.2193  1 Fe 1.92
O 0.4589 0.5411 0.7193  1 Fe 1.92
O 0.2851 0.7149 0.2358  1 Fe 1.91
O 0.7149 0.2851 0.7358  1 Fe 1.91

Record 2
Here is a relaxed SrSmFeSnO6 crystal from the Materials Project. Energies are from GGA+U.

Cell lengths 5.6783, 5.6783, 5.6783 Å; angles 60.00, 60.00, 60.00 degrees
Closest atoms and distances in Å follow each position.
Fractional coordinates of all 10 atoms:
Sr 0.2500 0.2500 0.2500  12 O 2.84
Sm 0.7500 0.7500 0.7500  12 O 2.84
Fe 0.0000 0.0000 0.0000  6 O 1.98
Sn 0.5000 0.5000 0.5000  6 O 2.03
O 0.7532 0.2468 0.2468  1 Fe 1.98, 1 Sn 2.03
O 0.2468 0.7532 0.7532  1 Fe 1.98, 1 Sn 2.03
O 0.7532 0.2468 0.7532  1 Fe 1.98, 1 Sn 2.03
O 0.2468 0.7532 0.2468  1 Fe 1.98, 1 Sn 2.03
O 0.7532 0.7532 0.2468  1 Fe 1.98, 1 Sn 2.03
O 0.2468 0.2468 0.7532  1 Fe 1.98, 1 Sn 2.03

Record 3
Here is a relaxed Sr2SmFeO6 crystal from the Materials Project. Energies are from GGA+U.

Cell lengths 5.8264, 5.8264, 5.8264 Å; angles 60.00, 60.00, 60.00 degrees
Closest atoms and distances in Å follow each position.
Fractional coordinates of all 10 atoms:
Sr 0.2500 0.2500 0.2500  12 O 2.92
Sr 0.7500 0.7500 0.7500  12 O 2.92
Sm 0.5000 0.5000 0.5000  6 O 2.24
Fe 0.0000 0.0000 0.0000  6 O 1.88
O 0.7716 0.2284 0.2284  1 Fe 1.88
O 0.2284 0.7716 0.7716  1 Fe 1.88
O 0.7716 0.2284 0.7716  1 Fe 1.88
O 0.2284 0.7716 0.2284  1 Fe 1.88
O 0.7716 0.7716 0.2284  1 Fe 1.88
O 0.2284 0.2284 0.7716  1 Fe 1.88

Number 1: calculated formation energy -33.35 eV per formula unit. Number 2: calculated formation energy -25.63 eV per formula unit. Number 3: calculated formation energy -26.24 eV per formula unit.
........
**Job:**
Echo the data above verbatim.
**Reply:**
Computed, not measured: an optimized crystal structure of Ac3Pa at the PBE level of DFT.

a = 7.6464 Å, b = 7.6464 Å, c = 6.2002 Å
α = 90.00°, β = 90.00°, γ = 120.00°
Last column: nearest neighbours and their distance in Å.
Atoms (fractional coordinates):
Ac 0.1720 0.3440 0.2500  8 Ac 3.70-3.95, 4 Pa 3.77-3.82
Ac 0.1720 0.8280 0.2500  8 Ac 3.70-3.95, 4 Pa 3.77-3.82
Ac 0.3440 0.1720 0.7500  8 Ac 3.70-3.95, 4 Pa 3.77-3.82
Ac 0.6560 0.8280 0.2500  8 Ac 3.70-3.95, 4 Pa 3.77-3.82
Ac 0.8280 0.1720 0.7500  8 Ac 3.70-3.95, 4 Pa 3.77-3.82
Ac 0.8280 0.6560 0.7500  8 Ac 3.70-3.95, 4 Pa 3.77-3.82
Pa 0.3333 0.6667 0.7500  12 Ac 3.77-3.82
Pa 0.6667 0.3333 0.2500  12 Ac 3.77-3.82

Properties
energy relative to the elements = 0.4157 eV/atom

----------

Record 1
Here is a relaxed Sm3FeO6 crystal from the Materials Project. Energies are from GGA+U.

Cell lengths 7.3401, 7.3401, 5.5951 Å; angles 90.00, 90.00, 102.94 degrees
Closest atoms and distances in Å follow each position.
Fractional coordinates of all 20 atoms:
Sm 0.5874 0.7994 0.0420  5 O 2.28-2.46
Sm 0.2006 0.4126 0.0420  5 O 2.28-2.46
Sm 0.4126 0.2006 0.5420  5 O 2.28-2.46
Sm 0.7994 0.5874 0.5420  5 O 2.28-2.46
Sm 0.1029 0.8971 0.9981  7 O 2.35-2.52
Sm 0.8971 0.1029 0.4981  7 O 2.35-2.52
Fe 0.3072 0.6928 0.5735  4 O 1.91-1.92
Fe 0.6928 0.3072 0.0735  4 O 1.91-1.92
O 0.1737 0.1459 0.2715  4 Sm 2.28-2.35
O 0.8541 0.8263 0.2715  4 Sm 2.28-2.35
O 0.8263 0.8541 0.7715  4 Sm 2.28-2.35
O 0.1459 0.1737 0.7715  4 Sm 2.28-2.35
O 0.6066 0.0808 0.2495  1 Fe 1.91
O 0.9192 0.3934 0.2495  1 Fe 1.91
O 0.3934 0.9192 0.7495  1 Fe 1.91
O 0.0808 0.6066 0.7495  1 Fe 1.91
O 0.5411 0.4589 0.2193  1 Fe 1.92
O 0.4589 0.5411 0.7193  1 Fe 1.92
O 0.2851 0.7149 0.2358  1 Fe 1.91
O 0.7149 0.2851 0.7358  1 Fe 1.91

Record 2
Here is a relaxed SrSmFeSnO6 crystal from the Materials Project. Energies are from GGA+U.

Cell lengths 5.6783, 5.6783, 5.6783 Å; angles 60.00, 60.00, 60.00 degrees
Closest atoms and distances in Å follow each position.
Fractional coordinates of all 10 atoms:
Sr 0.2500 0.2500 0.2500  12 O 2.84
Sm 0.7500 0.7500 0.7500  12 O 2.84
Fe 0.0000 0.0000 0.0000  6 O 1.98
Sn 0.5000 0.5000 0.5000  6 O 2.03
O 0.7532 0.2468 0.2468  1 Fe 1.98, 1 Sn 2.03
O 0.2468 0.7532 0.7532  1 Fe 1.98, 1 Sn 2.03
O 0.7532 0.2468 0.7532  1 Fe 1.98, 1 Sn 2.03
O 0.2468 0.7532 0.2468  1 Fe 1.98, 1 Sn 2.03
O 0.7532 0.7532 0.2468  1 Fe 1.98, 1 Sn 2.03
O 0.2468 0.2468 0.7532  1 Fe 1.98, 1 Sn 2.03

Record 3
Here is a relaxed Sr2SmFeO6 crystal from the Materials Project. Energies are from GGA+U.

Cell lengths 5.8264, 5.8264, 5.8264 Å; angles 60.00, 60.00, 60.00 degrees
Closest atoms and distances in Å follow each position.
Fractional coordinates of all 10 atoms:
Sr 0.2500 0.2500 0.2500  12 O 2.92
Sr 0.7500 0.7500 0.7500  12 O 2.92
Sm 0.5000 0.5000 0.5000  6 O 2.24
Fe 0.0000 0.0000 0.0000  6 O 1.88
O 0.7716 0.2284 0.2284  1 Fe 1.88
O 0.2284 0.7716 0.7716  1 Fe 1.88
O 0.7716 0.2284 0.7716  1 Fe 1.88
O 0.2284 0.7716 0.2284  1 Fe 1.88
O 0.7716 0.7716 0.2284  1 Fe 1.88
O 0.2284 0.2284 0.7716  1 Fe 1.88

Number 1: calculated formation energy -33.35 eV per formula unit. Number 2: calculated formation energy -25.63 eV per formula unit. Number 3: calculated formation energy -26.24 eV per formula unit.